What to do:
What is needed: echo everything further below unchanged.
File:
(1)
KNdCdF6: relaxed, PBE.

POSCAR file:
```
KNdCdF6
1.0
-4.5360 6.6650 -3.0573
-4.8366 -5.1709 -4.0967
0.9617 -1.0750 8.3881
K F Nd Cd
2 12 2 2
Direct
0.7612 0.5112 0.5225 K
0.2388 0.4888 0.4775 K
0.1839 0.3233 0.7212 F
0.1808 0.9308 0.3617 F
0.8161 0.6767 0.2788 F
0.5373 0.8979 0.7212 F
0.4424 0.6924 0.8847 F
0.1839 0.8979 0.7212 F
0.8161 0.1021 0.2788 F
0.5576 0.3076 0.1153 F
0.8192 0.0692 0.6383 F
0.5373 0.3233 0.7212 F
0.4627 0.6767 0.2788 F
0.4627 0.1021 0.2788 F
0.0000 0.0000 0.5000 Nd
0.5000 0.0000 0.5000 Nd
0.5000 0.0000 0.0000 Cd
0.5000 0.5000 0.0000 Cd
```

Calculated values
The calculation puts the density of states at the Fermi level at 0.00 states/eV/atom. The space group is Imma (74). The total energy is -5.084 eV per atom. The calculation puts the energy relative to the elements, uncorrected at -3.083 eV/atom.



(2)
NiTe2BrN: relaxed, PBE.

POSCAR file:
```
NiTe2BrN
1.0
-1.8137 -3.7303 -3.8513
4.2235 1.5106 -3.4521
2.1205 -2.5552 1.4762
N Ni Te Br
1 1 2 1
Direct
0.0000 0.0000 0.5000 N
0.5000 0.5000 0.5000 Ni
0.5000 0.0000 0.0000 Te
0.0000 0.5000 0.0000 Te
0.0000 0.0000 0.0000 Br
```

Calculated values
The calculation puts the density of states at the Fermi level at 1.04 states/eV/atom. As for the energy above the most stable polymorph in this dataset: 1144 meV/atom. The space group is P4/mmm (123). The total energy is -2.744 eV per atom. The calculation puts the energy relative to the elements, uncorrected at 1.668 eV/atom.



(3)
Tm3PtSe3: relaxed, PBE.

POSCAR file:
```
Tm3PtSe3
1.0
8.3259 0.0000 0.0000
4.1629 7.2104 0.0000
4.1629 2.4035 5.7152
Se Tm Pt
6 6 2
Direct
0.7933 0.1273 0.7241 Se
0.3553 0.7933 0.7241 Se
0.6447 0.2067 0.2759 Se
0.8727 0.6447 0.2759 Se
0.2067 0.8727 0.2759 Se
0.1273 0.3553 0.7241 Se
0.0309 0.7250 0.7717 Tm
0.5275 0.9691 0.2283 Tm
0.9691 0.2750 0.2283 Tm
0.7250 0.4725 0.7717 Tm
0.4725 0.0309 0.7717 Tm
0.2750 0.5275 0.2283 Tm
0.3504 0.3504 0.9488 Pt
0.6496 0.6496 0.0512 Pt
```

Calculated values
The calculation puts the density of states at the Fermi level at 0.42 states/eV/atom. The space group is R-3 (148). The total energy is -5.798 eV per atom. The calculation puts the energy relative to the elements, uncorrected at -1.525 eV/atom.



(4)
Na2TmInCl6: relaxed, PBE.

POSCAR file:
```
Na2TmInCl6
1.0
7.1819 0.0004 0.0008
3.5913 6.2194 0.0005
3.5913 2.0736 6.5619
Cl Na Tm In
6 2 1 1
Direct
0.9482 0.5714 0.2294 Cl
0.1506 0.3700 0.7675 Cl
0.3700 0.7119 0.7674 Cl
0.7120 0.1505 0.7675 Cl
0.5713 0.2511 0.2294 Cl
0.2510 0.9483 0.2294 Cl
0.0056 0.0055 0.9834 Na
0.5213 0.5213 0.4361 Na
0.3254 0.3254 0.0238 Tm
0.8062 0.8062 0.5814 In
```

Calculated values
The calculation puts the density of states at the Fermi level at 0.00 states/eV/atom. The space group is R3 (146). The total energy is -3.899 eV per atom. The calculation puts the energy relative to the elements, uncorrected at -1.806 eV/atom.



(5)
Ru2Pt2Rh15: relaxed, PBE.

POSCAR file:
```
Ru2Pt2Rh15
1.0
6.6153 -0.1967 1.3224
1.0458 6.5350 1.3224
-0.2377 -0.1967 6.7420
Ru Rh Pt
2 15 2
Direct
0.9150 0.9150 0.9150 Ru
0.0850 0.0850 0.0850 Ru
0.1727 0.6702 0.6702 Rh
0.3298 0.3298 0.8273 Rh
0.8273 0.3298 0.3298 Rh
0.3429 0.0000 0.6571 Rh
0.6571 0.3429 0.0000 Rh
0.5000 0.0000 0.0000 Rh
0.0000 0.3429 0.6571 Rh
0.6702 0.1727 0.6702 Rh
0.6702 0.6702 0.1727 Rh
0.0000 0.6571 0.3429 Rh
0.3429 0.6571 0.0000 Rh
0.0000 0.0000 0.5000 Rh
0.6571 0.0000 0.3429 Rh
0.3298 0.8273 0.3298 Rh
0.0000 0.5000 0.0000 Rh
0.7088 0.7088 0.7088 Pt
0.2912 0.2912 0.2912 Pt
```

Calculated values
The calculation puts the density of states at the Fermi level at 1.58 states/eV/atom. The space group is R-3m (166). The total energy is -7.023 eV per atom. The formation energy is 0.3927 eV per atom.



(6)
LiTbRu4: relaxed, PBE.

POSCAR file:
```
LiTbRu4
1.0
-3.0812 -2.6894 -3.2769
-3.5087 -3.3987 1.8979
-5.1185 1.0911 -0.2733
Tb Ru Li
1 4 1
Direct
0.2500 0.2500 0.2500 Tb
0.6255 0.1236 0.6255 Ru
0.6255 0.6255 0.6255 Ru
0.6255 0.6255 0.1236 Ru
0.1236 0.6255 0.6255 Ru
Worked solution:
(1)
KNdCdF6: relaxed, PBE.

POSCAR file:
```
KNdCdF6
1.0
-4.5360 6.6650 -3.0573
-4.8366 -5.1709 -4.0967
0.9617 -1.0750 8.3881
K F Nd Cd
2 12 2 2
Direct
0.7612 0.5112 0.5225 K
0.2388 0.4888 0.4775 K
0.1839 0.3233 0.7212 F
0.1808 0.9308 0.3617 F
0.8161 0.6767 0.2788 F
0.5373 0.8979 0.7212 F
0.4424 0.6924 0.8847 F
0.1839 0.8979 0.7212 F
0.8161 0.1021 0.2788 F
0.5576 0.3076 0.1153 F
0.8192 0.0692 0.6383 F
0.5373 0.3233 0.7212 F
0.4627 0.6767 0.2788 F
0.4627 0.1021 0.2788 F
0.0000 0.0000 0.5000 Nd
0.5000 0.0000 0.5000 Nd
0.5000 0.0000 0.0000 Cd
0.5000 0.5000 0.0000 Cd
```

Calculated values
The calculation puts the density of states at the Fermi level at 0.00 states/eV/atom. The space group is Imma (74). The total energy is -5.084 eV per atom. The calculation puts the energy relative to the elements, uncorrected at -3.083 eV/atom.



(2)
NiTe2BrN: relaxed, PBE.

POSCAR file:
```
NiTe2BrN
1.0
-1.8137 -3.7303 -3.8513
4.2235 1.5106 -3.4521
2.1205 -2.5552 1.4762
N Ni Te Br
1 1 2 1
Direct
0.0000 0.0000 0.5000 N
0.5000 0.5000 0.5000 Ni
0.5000 0.0000 0.0000 Te
0.0000 0.5000 0.0000 Te
0.0000 0.0000 0.0000 Br
```

Calculated values
The calculation puts the density of states at the Fermi level at 1.04 states/eV/atom. As for the energy above the most stable polymorph in this dataset: 1144 meV/atom. The space group is P4/mmm (123). The total energy is -2.744 eV per atom. The calculation puts the energy relative to the elements, uncorrected at 1.668 eV/atom.



(3)
Tm3PtSe3: relaxed, PBE.

POSCAR file:
```
Tm3PtSe3
1.0
8.3259 0.0000 0.0000
4.1629 7.2104 0.0000
4.1629 2.4035 5.7152
Se Tm Pt
6 6 2
Direct
0.7933 0.1273 0.7241 Se
0.3553 0.7933 0.7241 Se
0.6447 0.2067 0.2759 Se
0.8727 0.6447 0.2759 Se
0.2067 0.8727 0.2759 Se
0.1273 0.3553 0.7241 Se
0.0309 0.7250 0.7717 Tm
0.5275 0.9691 0.2283 Tm
0.9691 0.2750 0.2283 Tm
0.7250 0.4725 0.7717 Tm
0.4725 0.0309 0.7717 Tm
0.2750 0.5275 0.2283 Tm
0.3504 0.3504 0.9488 Pt
0.6496 0.6496 0.0512 Pt
```

Calculated values
The calculation puts the density of states at the Fermi level at 0.42 states/eV/atom. The space group is R-3 (148). The total energy is -5.798 eV per atom. The calculation puts the energy relative to the elements, uncorrected at -1.525 eV/atom.



(4)
Na2TmInCl6: relaxed, PBE.

POSCAR file:
```
Na2TmInCl6
1.0
7.1819 0.0004 0.0008
3.5913 6.2194 0.0005
3.5913 2.0736 6.5619
Cl Na Tm In
6 2 1 1
Direct
0.9482 0.5714 0.2294 Cl
0.1506 0.3700 0.7675 Cl
0.3700 0.7119 0.7674 Cl
0.7120 0.1505 0.7675 Cl
0.5713 0.2511 0.2294 Cl
0.2510 0.9483 0.2294 Cl
0.0056 0.0055 0.9834 Na
0.5213 0.5213 0.4361 Na
0.3254 0.3254 0.0238 Tm
0.8062 0.8062 0.5814 In
```

Calculated values
The calculation puts the density of states at the Fermi level at 0.00 states/eV/atom. The space group is R3 (146). The total energy is -3.899 eV per atom. The calculation puts the energy relative to the elements, uncorrected at -1.806 eV/atom.



(5)
Ru2Pt2Rh15: relaxed, PBE.

POSCAR file:
```
Ru2Pt2Rh15
1.0
6.6153 -0.1967 1.3224
1.0458 6.5350 1.3224
-0.2377 -0.1967 6.7420
Ru Rh Pt
2 15 2
Direct
0.9150 0.9150 0.9150 Ru
0.0850 0.0850 0.0850 Ru
0.1727 0.6702 0.6702 Rh
0.3298 0.3298 0.8273 Rh
0.8273 0.3298 0.3298 Rh
0.3429 0.0000 0.6571 Rh
0.6571 0.3429 0.0000 Rh
0.5000 0.0000 0.0000 Rh
0.0000 0.3429 0.6571 Rh
0.6702 0.1727 0.6702 Rh
0.6702 0.6702 0.1727 Rh
0.0000 0.6571 0.3429 Rh
0.3429 0.6571 0.0000 Rh
0.0000 0.0000 0.5000 Rh
0.6571 0.0000 0.3429 Rh
0.3298 0.8273 0.3298 Rh
0.0000 0.5000 0.0000 Rh
0.7088 0.7088 0.7088 Pt
0.2912 0.2912 0.2912 Pt
```

Calculated values
The calculation puts the density of states at the Fermi level at 1.58 states/eV/atom. The space group is R-3m (166). The total energy is -7.023 eV per atom. The formation energy is 0.3927 eV per atom.



(6)
LiTbRu4: relaxed, PBE.

POSCAR file:
```
LiTbRu4
1.0
-3.0812 -2.6894 -3.2769
-3.5087 -3.3987 1.8979
-5.1185 1.0911 -0.2733
Tb Ru Li
1 4 1
Direct
0.2500 0.2500 0.2500 Tb
0.6255 0.1236 0.6255 Ru
0.6255 0.6255 0.6255 Ru
0.6255 0.6255 0.1236 Ru
0.1236 0.6255 0.6255 Ru